- - -
Compound: SrCaDy2Te4
Source: Alexandria
Functional: PBE
Structure: relaxed Values from VASP.

```
&SYSTEM
  ibrav = 0, nat = 8, ntyp = 4
/
ATOMIC_SPECIES
Sr 87.62 Sr.upf
Ca 40.08 Ca.upf
Dy 162.50 Dy.upf
Te 127.60 Te.upf
CELL_PARAMETERS angstrom
-3.362 2.903 0.009
-2.193 -2.517 -7.130
-4.994 -5.787 0.807
ATOMIC_POSITIONS angstrom
Sr -7.772 -5.594 -2.754
Ca -3.594 -4.152 -3.162
Dy -4.994 -5.787 0.807
Dy -4.178 -1.442 0.408
Te -5.373 -6.207 -4.853
Te -5.177 0.806 -1.462
Te -4.606 -1.920 -5.214
Te -5.943 -3.482 -1.100
```

Summary:
The size of the total moment is 0.000 μB per atom. For the volume, the calculation gives 31.8 Å³/atom. As for the raw total energy: -37.17 eV/cell.


Compound: SrCaDy2Tl4
Source: Alexandria
Functional: PBE
Structure: relaxed Values from VASP.

```
&SYSTEM
  ibrav = 0, nat = 8, ntyp = 4
/
ATOMIC_SPECIES
Sr 87.62 Sr.upf
Ca 40.08 Ca.upf
Dy 162.50 Dy.upf
Tl 204.38 Tl.upf
CELL_PARAMETERS angstrom
5.495 0.000 0.000
2.748 4.759 0.000
2.748 1.586 9.004
ATOMIC_POSITIONS angstrom
Sr 0.000 0.000 0.000
Ca 5.495 3.173 4.502
Dy 8.243 4.759 6.707
Dy 2.748 1.586 2.297
Tl 5.495 3.173 7.826
Tl 8.243 4.759 3.419
Tl 2.748 1.586 5.585
Tl 5.495 3.173 1.178
```

Summary:
The size of the total moment is 0.000 μB per atom. For the volume, the calculation gives 29.4 Å³/atom. As for the raw total energy: -25.08 eV/cell. The energy relative to the elements is -0.341 eV per atom.


Compound: CaTb7Dy2
Source: Alexandria
Functional: PBE
Structure: relaxed Values from VASP.

```
&SYSTEM
  ibrav = 0, nat = 10, ntyp = 3
/
ATOMIC_SPECIES
Ca 40.08 Ca.upf
Tb 158.93 Tb.upf
Dy 162.50 Dy.upf
CELL_PARAMETERS angstrom
5.937 -1.386 -1.093
-1.236 7.910 -5.110
-1.969 -1.775 9.102
ATOMIC_POSITIONS angstrom
Ca 0.000 0.000 0.000
Tb -1.669 5.914 0.719
Tb 4.400 -1.165 2.180
Tb -0.671 3.630 3.365
Tb 3.402 1.119 -0.466
Tb -0.180 5.660 -2.457
Tb 2.912 -0.911 5.356
Tb 2.350 3.262 -3.101
Dy 0.835 3.521 0.108
Dy 1.896 1.228 2.791
```

Summary:
The size of the total moment is 0.000 μB per atom. For the volume, the calculation gives 32.5 Å³/atom. As for the raw total energy: -43.13 eV/cell. The energy relative to the elements is 0.049 eV per atom.


Compound: CaTbDy2
Source: Alexandria
Functional: PBE
Structure: relaxed Values from VASP.

```
&SYSTEM
  ibrav = 0, nat = 4, ntyp = 3
/
ATOMIC_SPECIES
Ca 40.08 Ca.upf
Tb 158.93 Tb.upf
Dy 162.50 Dy.upf
CELL_PARAMETERS angstrom
3.614 0.000 0.000
0.000 3.614 0.000
0.000 0.000 10.358
ATOMIC_POSITIONS angstrom
Ca 1.807 1.807 5.179
Tb 1.807 1.807 0.000
Dy 0.000 0.000 7.970
Dy 0.000 0.000 2.388
```

Summary:
The relative energy among the computed polymorphs is 0.011 eV per atom. The size of the total moment is 0.000 μB per atom. For the volume, the calculation gives 33.8 Å³/atom. As for the raw total energy: -15.55 eV/cell. The energy relative to the elements is 0.072 eV per atom.


Compound: CaTbDy
Source: Alexandria
Functional: PBE
Structure: relaxed Values from VASP.

```
&SYSTEM
  ibrav = 0, nat = 3, ntyp = 3
/
ATOMIC_SPECIES
Ca 40.08 Ca.upf
Tb 158.93 Tb.upf
Dy 162.50 Dy.upf
CELL_PARAMETERS angstrom
-2.431 -2.360 1.320
1.843 -0.147 3.131
-3.943 7.170 0.546
ATOMIC_POSITIONS angstrom
Ca -0.002 0.002 0.001
Tb -2.742 3.829 1.794
Dy -1.788 0.832 3.203
```

Summary:
The relative energy among the computed polymorphs is 0.015 eV per atom. The size of the total moment is 0.000 μB per atom. For the volume, the calculation gives 34.3 Å³/atom. As for the raw total energy: -11.05 eV/cell. The energy relative to the elements is 0.062 eV per atom.


Compound: CaTb5Dy3
Source: Alexandria
Functional: PBE
Structure: relaxed Values from VASP.

```
&SYSTEM
  ibrav = 0, nat = 18, ntyp = 3
/
ATOMIC_SPECIES
Ca 40.08 Ca.upf
Tb 158.93 Tb.upf
Dy 162.50 Dy.upf
CELL_PARAMETERS angstrom
9.840 0.000 0.000
-4.920 8.453 -0.713
0.000 0.588 6.970
ATOMIC_POSITIONS angstrom
Ca 6.391 0.441 5.227
Ca 3.449 0.147 1.742
Tb 3.027 0.441 5.227
Tb 3.454 6.198 4.742
Tb 8.066 3.123 1.492
Tb 1.466 2.843 1.515
Tb 3.146 5.623 1.280
Tb 6.813 0.147 1.742
- - -

Could you reproduce the whole of the contents further above verbatim?

Compound: SrCaDy2Te4
Source: Alexandria
Functional: PBE
Structure: relaxed Values from VASP.

```
&SYSTEM
  ibrav = 0, nat = 8, ntyp = 4
/
ATOMIC_SPECIES
Sr 87.62 Sr.upf
Ca 40.08 Ca.upf
Dy 162.50 Dy.upf
Te 127.60 Te.upf
CELL_PARAMETERS angstrom
-3.362 2.903 0.009
-2.193 -2.517 -7.130
-4.994 -5.787 0.807
ATOMIC_POSITIONS angstrom
Sr -7.772 -5.594 -2.754
Ca -3.594 -4.152 -3.162
Dy -4.994 -5.787 0.807
Dy -4.178 -1.442 0.408
Te -5.373 -6.207 -4.853
Te -5.177 0.806 -1.462
Te -4.606 -1.920 -5.214
Te -5.943 -3.482 -1.100
```

Summary:
The size of the total moment is 0.000 μB per atom. For the volume, the calculation gives 31.8 Å³/atom. As for the raw total energy: -37.17 eV/cell.


Compound: SrCaDy2Tl4
Source: Alexandria
Functional: PBE
Structure: relaxed Values from VASP.

```
&SYSTEM
  ibrav = 0, nat = 8, ntyp = 4
/
ATOMIC_SPECIES
Sr 87.62 Sr.upf
Ca 40.08 Ca.upf
Dy 162.50 Dy.upf
Tl 204.38 Tl.upf
CELL_PARAMETERS angstrom
5.495 0.000 0.000
2.748 4.759 0.000
2.748 1.586 9.004
ATOMIC_POSITIONS angstrom
Sr 0.000 0.000 0.000
Ca 5.495 3.173 4.502
Dy 8.243 4.759 6.707
Dy 2.748 1.586 2.297
Tl 5.495 3.173 7.826
Tl 8.243 4.759 3.419
Tl 2.748 1.586 5.585
Tl 5.495 3.173 1.178
```

Summary:
The size of the total moment is 0.000 μB per atom. For the volume, the calculation gives 29.4 Å³/atom. As for the raw total energy: -25.08 eV/cell. The energy relative to the elements is -0.341 eV per atom.


Compound: CaTb7Dy2
Source: Alexandria
Functional: PBE
Structure: relaxed Values from VASP.

```
&SYSTEM
  ibrav = 0, nat = 10, ntyp = 3
/
ATOMIC_SPECIES
Ca 40.08 Ca.upf
Tb 158.93 Tb.upf
Dy 162.50 Dy.upf
CELL_PARAMETERS angstrom
5.937 -1.386 -1.093
-1.236 7.910 -5.110
-1.969 -1.775 9.102
ATOMIC_POSITIONS angstrom
Ca 0.000 0.000 0.000
Tb -1.669 5.914 0.719
Tb 4.400 -1.165 2.180
Tb -0.671 3.630 3.365
Tb 3.402 1.119 -0.466
Tb -0.180 5.660 -2.457
Tb 2.912 -0.911 5.356
Tb 2.350 3.262 -3.101
Dy 0.835 3.521 0.108
Dy 1.896 1.228 2.791
```

Summary:
The size of the total moment is 0.000 μB per atom. For the volume, the calculation gives 32.5 Å³/atom. As for the raw total energy: -43.13 eV/cell. The energy relative to the elements is 0.049 eV per atom.


Compound: CaTbDy2
Source: Alexandria
Functional: PBE
Structure: relaxed Values from VASP.

```
&SYSTEM
  ibrav = 0, nat = 4, ntyp = 3
/
ATOMIC_SPECIES
Ca 40.08 Ca.upf
Tb 158.93 Tb.upf
Dy 162.50 Dy.upf
CELL_PARAMETERS angstrom
3.614 0.000 0.000
0.000 3.614 0.000
0.000 0.000 10.358
ATOMIC_POSITIONS angstrom
Ca 1.807 1.807 5.179
Tb 1.807 1.807 0.000
Dy 0.000 0.000 7.970
Dy 0.000 0.000 2.388
```

Summary:
The relative energy among the computed polymorphs is 0.011 eV per atom. The size of the total moment is 0.000 μB per atom. For the volume, the calculation gives 33.8 Å³/atom. As for the raw total energy: -15.55 eV/cell. The energy relative to the elements is 0.072 eV per atom.


Compound: CaTbDy
Source: Alexandria
Functional: PBE
Structure: relaxed Values from VASP.

```
&SYSTEM
  ibrav = 0, nat = 3, ntyp = 3
/
ATOMIC_SPECIES
Ca 40.08 Ca.upf
Tb 158.93 Tb.upf
Dy 162.50 Dy.upf
CELL_PARAMETERS angstrom
-2.431 -2.360 1.320
1.843 -0.147 3.131
-3.943 7.170 0.546
ATOMIC_POSITIONS angstrom
Ca -0.002 0.002 0.001
Tb -2.742 3.829 1.794
Dy -1.788 0.832 3.203
```

Summary:
The relative energy among the computed polymorphs is 0.015 eV per atom. The size of the total moment is 0.000 μB per atom. For the volume, the calculation gives 34.3 Å³/atom. As for the raw total energy: -11.05 eV/cell. The energy relative to the elements is 0.062 eV per atom.


Compound: CaTb5Dy3
Source: Alexandria
Functional: PBE
Structure: relaxed Values from VASP.

```
&SYSTEM
  ibrav = 0, nat = 18, ntyp = 3
/
ATOMIC_SPECIES
Ca 40.08 Ca.upf
Tb 158.93 Tb.upf
Dy 162.50 Dy.upf
CELL_PARAMETERS angstrom
9.840 0.000 0.000
-4.920 8.453 -0.713
0.000 0.588 6.970
ATOMIC_POSITIONS angstrom
Ca 6.391 0.441 5.227
Ca 3.449 0.147 1.742
Tb 3.027 0.441 5.227
Tb 3.454 6.198 4.742
Tb 8.066 3.123 1.492
Tb 1.466 2.843 1.515
Tb 3.146 5.623 1.280
Tb 6.813 0.147 1.742